### Source
┌──
This record from the Materials Project database describes a relaxed Sr2EuVO6 crystal. The functional is PBE with a Hubbard U.

Values from the calculation:
Its calculated formation energy is -280.0 kJ/mol of atoms.

Unit cell a=8.294 b=8.294 c=8.294 alpha=90.00 beta=90.00 gamma=90.00
Space group Fm-3m (No. 225)
Symmetry-distinct sites (fractional):
Sr: 0.250 0.250 0.250 (multiplicity 8)
Eu: 0.000 0.000 0.000 (multiplicity 4)
V: 0.000 0.000 0.500 (multiplicity 4)
O: 0.000 0.000 0.271 (multiplicity 24)

=====

Record 1
A relaxed MgSc4Si4O14 crystal. Source: the Materials Project, functional PBE.

a b c (Å): 6.6314 6.6314 17.2492
angles (deg): 90.00 90.00 120.00
Space group R3m (No. 160, hexagonal axes)
Unique sites:
Mg  0.0000  0.0000  0.0000 (multiplicity 3)
Sc  0.0000  0.0000  0.2353 (multiplicity 3)
Sc  0.1883  0.3766  0.0885 (multiplicity 9)
Si  0.0000  0.0000  0.7328 (multiplicity 3)
Si  0.0055  0.5028  0.2350 (multiplicity 9)
O  0.0000  0.0000  0.1137 (multiplicity 3)
O  0.0000  0.0000  0.3509 (multiplicity 3)
O  0.0604  0.5302  0.3438 (multiplicity 9)
O  0.0751  0.5376  0.5878 (multiplicity 9)
O  0.1997  0.3994  0.4624 (multiplicity 9)
O  0.2011  0.4023  0.2172 (multiplicity 9)

Values from the calculation:
As for the energy above the lowest structure with this stoichiometry: 0.000 eV/atom. For the spin magnetization, the calculation gives 0.00 μB per atom. The calculation puts the energy at -7.89 eV/atom.


Record 2
A relaxed Ti2Fe crystal. Source: the Materials Project, functional PBE.

a b c (Å): 11.2205 11.2205 11.2205
angles (deg): 90.00 90.00 90.00
Space group Fd-3m (No. 227, origin choice 2)
Unique sites:
Ti  0.0000  0.0000  0.0000 (multiplicity 16)
Ti  0.0647  0.3750  0.8750 (multiplicity 48)
Fe  0.0370  0.0370  0.2130 (multiplicity 32)

Values from the calculation:
For the spin magnetization, the calculation gives 0.00 μB per atom. The calculation puts the energy at -8.30 eV/atom.


Record 3
A relaxed SrCd2Ga2 crystal. Source: the Materials Project, functional PBE.

a b c (Å): 4.6036 4.6036 11.4963
angles (deg): 90.00 90.00 90.00
Space group I4/mmm (No. 139)
Unique sites:
Sr  0.0000  0.0000  0.0000 (multiplicity 2)
Cd  0.0000  0.5000  0.2500 (multiplicity 4)
Ga  0.0000  0.0000  0.3906 (multiplicity 4)

Values from the calculation:
The calculation puts the energy at -2.27 eV/atom.


Record 4
A relaxed Gd2ZnAg crystal. Source: the Materials Project, functional PBE.

a b c (Å): 7.3116 7.3116 7.3116
angles (deg): 90.00 90.00 90.00
Space group Fm-3m (No. 225)
Unique sites:
Gd  0.2500  0.2500  0.2500 (multiplicity 8)
Zn  0.0000  0.0000  0.0000 (multiplicity 4)
Ag  0.0000  0.0000  0.5000 (multiplicity 4)

Values from the calculation:
For the spin magnetization, the calculation gives 3.64 μB per atom. The calculation puts the energy at -8.38 eV/atom.

=====

Entry 1:
The following is a DFT calculation (GGA-PBE) of an optimized crystal structure of CaTi3P3O13.

Summary:
- calculated total energy (eV for the cell shown) = -317.2
- ρ (g/cm³) = 3.13
- crystal system = monoclinic

a = 7.755 Å, b = 6.474 Å, c = 10.405 Å
α = 90.00°, β = 99.78°, γ = 90.00°
Space group P2_1/m (No. 11)
Symmetry-distinct sites (fractional):
Ca: 0.150 0.250 0.191 x2
Ti: 0.149 0.250 0.800 x2
Ti: 0.293 0.750 0.436 x2
Ti: 0.500 0.000 0.000 x2
P: 0.182 0.750 0.115 x2
P: 0.237 0.750 0.761 x2
P: 0.281 0.250 0.509 x2
O: 0.005 0.250 0.965 x2
O: 0.121 0.564 0.785 x4
O: 0.140 0.750 0.258 x2
O: 0.159 0.250 0.610 x2
O: 0.251 0.061 0.416 x4
O: 0.285 0.750 0.625 x2
O: 0.287 0.551 0.097 x4
O: 0.366 0.250 0.905 x2
O: 0.409 0.750 0.865 x2
O: 0.474 0.250 0.584 x2


Entry 2:
The following is a DFT calculation (GGA-PBE) of an optimized crystal structure of NbSe2.

Summary:
- calculated total energy (eV for the cell shown) = -78.3
- ρ (g/cm³) = 6.02
- crystal system = hexagonal

a = 3.4800 Å, b = 3.4800 Å, c = 26.3968 Å
α = 90.00°, β = 90.00°, γ = 120.00°
Space group P-6m2 (No. 187)
Symmetry-distinct sites (fractional):
Nb: 0.0000 0.0000 0.0000 x1
└──

### Request
What is needed: set down everything further above word for word.

### Reply
This record from the Materials Project database describes a relaxed Sr2EuVO6 crystal. The functional is PBE with a Hubbard U.

Values from the calculation:
Its calculated formation energy is -280.0 kJ/mol of atoms.

Unit cell a=8.294 b=8.294 c=8.294 alpha=90.00 beta=90.00 gamma=90.00
Space group Fm-3m (No. 225)
Symmetry-distinct sites (fractional):
Sr: 0.250 0.250 0.250 (multiplicity 8)
Eu: 0.000 0.000 0.000 (multiplicity 4)
V: 0.000 0.000 0.500 (multiplicity 4)
O: 0.000 0.000 0.271 (multiplicity 24)

=====

Record 1
A relaxed MgSc4Si4O14 crystal. Source: the Materials Project, functional PBE.

a b c (Å): 6.6314 6.6314 17.2492
angles (deg): 90.00 90.00 120.00
Space group R3m (No. 160, hexagonal axes)
Unique sites:
Mg  0.0000  0.0000  0.0000 (multiplicity 3)
Sc  0.0000  0.0000  0.2353 (multiplicity 3)
Sc  0.1883  0.3766  0.0885 (multiplicity 9)
Si  0.0000  0.0000  0.7328 (multiplicity 3)
Si  0.0055  0.5028  0.2350 (multiplicity 9)
O  0.0000  0.0000  0.1137 (multiplicity 3)
O  0.0000  0.0000  0.3509 (multiplicity 3)
O  0.0604  0.5302  0.3438 (multiplicity 9)
O  0.0751  0.5376  0.5878 (multiplicity 9)
O  0.1997  0.3994  0.4624 (multiplicity 9)
O  0.2011  0.4023  0.2172 (multiplicity 9)

Values from the calculation:
As for the energy above the lowest structure with this stoichiometry: 0.000 eV/atom. For the spin magnetization, the calculation gives 0.00 μB per atom. The calculation puts the energy at -7.89 eV/atom.


Record 2
A relaxed Ti2Fe crystal. Source: the Materials Project, functional PBE.

a b c (Å): 11.2205 11.2205 11.2205
angles (deg): 90.00 90.00 90.00
Space group Fd-3m (No. 227, origin choice 2)
Unique sites:
Ti  0.0000  0.0000  0.0000 (multiplicity 16)
Ti  0.0647  0.3750  0.8750 (multiplicity 48)
Fe  0.0370  0.0370  0.2130 (multiplicity 32)

Values from the calculation:
For the spin magnetization, the calculation gives 0.00 μB per atom. The calculation puts the energy at -8.30 eV/atom.


Record 3
A relaxed SrCd2Ga2 crystal. Source: the Materials Project, functional PBE.

a b c (Å): 4.6036 4.6036 11.4963
angles (deg): 90.00 90.00 90.00
Space group I4/mmm (No. 139)
Unique sites:
Sr  0.0000  0.0000  0.0000 (multiplicity 2)
Cd  0.0000  0.5000  0.2500 (multiplicity 4)
Ga  0.0000  0.0000  0.3906 (multiplicity 4)

Values from the calculation:
The calculation puts the energy at -2.27 eV/atom.


Record 4
A relaxed Gd2ZnAg crystal. Source: the Materials Project, functional PBE.

a b c (Å): 7.3116 7.3116 7.3116
angles (deg): 90.00 90.00 90.00
Space group Fm-3m (No. 225)
Unique sites:
Gd  0.2500  0.2500  0.2500 (multiplicity 8)
Zn  0.0000  0.0000  0.0000 (multiplicity 4)
Ag  0.0000  0.0000  0.5000 (multiplicity 4)

Values from the calculation:
For the spin magnetization, the calculation gives 3.64 μB per atom. The calculation puts the energy at -8.38 eV/atom.

=====

Entry 1:
The following is a DFT calculation (GGA-PBE) of an optimized crystal structure of CaTi3P3O13.

Summary:
- calculated total energy (eV for the cell shown) = -317.2
- ρ (g/cm³) = 3.13
- crystal system = monoclinic

a = 7.755 Å, b = 6.474 Å, c = 10.405 Å
α = 90.00°, β = 99.78°, γ = 90.00°
Space group P2_1/m (No. 11)
Symmetry-distinct sites (fractional):
Ca: 0.150 0.250 0.191 x2
Ti: 0.149 0.250 0.800 x2
Ti: 0.293 0.750 0.436 x2
Ti: 0.500 0.000 0.000 x2
P: 0.182 0.750 0.115 x2
P: 0.237 0.750 0.761 x2
P: 0.281 0.250 0.509 x2
O: 0.005 0.250 0.965 x2
O: 0.121 0.564 0.785 x4
O: 0.140 0.750 0.258 x2
O: 0.159 0.250 0.610 x2
O: 0.251 0.061 0.416 x4
O: 0.285 0.750 0.625 x2
O: 0.287 0.551 0.097 x4
O: 0.366 0.250 0.905 x2
O: 0.409 0.750 0.865 x2
O: 0.474 0.250 0.584 x2


Entry 2:
The following is a DFT calculation (GGA-PBE) of an optimized crystal structure of NbSe2.

Summary:
- calculated total energy (eV for the cell shown) = -78.3
- ρ (g/cm³) = 6.02
- crystal system = hexagonal

a = 3.4800 Å, b = 3.4800 Å, c = 26.3968 Å
α = 90.00°, β = 90.00°, γ = 120.00°
Space group P-6m2 (No. 187)
Symmetry-distinct sites (fractional):
Nb: 0.0000 0.0000 0.0000 x1